# Listing
'''
No. 1
Computed powder XRD pattern
Compound: LiV3Fe2CuO12
Radiation: CuKα
Structure: a DFT-relaxed cell (GGA+U, the Materials Project)

Main lines, by angle (5° ≤ 2θ ≤ 70°):
| two_theta | I_rel |
| --- | --- |
| 11.8 | 55 |
| 12.3 | 55 |
| 23.7 | 35 |
| 27.2 | 72 |
| 27.5 | 46 |
| 27.6 | 100 |
| 28.2 | 41 |
| 28.9 | 99 |
| 54.2 | 24 |
| 54.8 | 29 |

Structural model:
```
data_LiV3Fe2CuO12
_cell_length_a 6.715
_cell_length_b 8.239
_cell_length_c 9.965
_cell_angle_alpha 107.06
_cell_angle_beta 103.50
_cell_angle_gamma 102.47
_space_group_name_H-M_alt 'P 1'
_space_group_IT_number 1
loop_
_space_group_symop_operation_xyz
'x,y,z'
loop_
_atom_site_label
_atom_site_type_symbol
_atom_site_fract_x
_atom_site_fract_y
_atom_site_fract_z
Li1 Li 0.000 0.000 0.000
Li2 Li 0.456 0.054 0.097
V1 V 0.174 0.880 0.311
V2 V 0.281 0.435 0.238
V3 V 0.516 0.646 0.913
V4 V 0.620 0.206 0.841
V5 V 0.809 0.271 0.452
V6 V 0.986 0.813 0.700
Fe1 Fe 0.020 0.596 0.971
Fe2 Fe 0.355 0.339 0.563
Fe3 Fe 0.444 0.747 0.590
Fe4 Fe 0.777 0.488 0.184
Cu1 Cu 0.120 0.258 0.782
Cu2 Cu 0.667 0.823 0.362
O1 O 0.060 0.314 0.586
O2 O 0.068 0.510 0.154
O3 O 0.076 0.037 0.819
O4 O 0.165 0.849 0.126
O5 O 0.168 0.761 0.613
O6 O 0.216 0.099 0.399
O7 O 0.234 0.217 0.146
O8 O 0.273 0.536 0.929
O9 O 0.317 0.481 0.429
O10 O 0.394 0.822 0.409
O11 O 0.398 0.259 0.741
O12 O 0.478 0.601 0.720
O13 O 0.523 0.553 0.225
O14 O 0.575 0.864 0.000
O15 O 0.585 0.987 0.756
O16 O 0.622 0.242 0.024
O17 O 0.633 0.329 0.546
O18 O 0.702 0.049 0.338
O19 O 0.730 0.573 0.999
O20 O 0.737 0.769 0.566
O21 O 0.832 0.391 0.336
O22 O 0.878 0.321 0.841
O23 O 0.918 0.766 0.312
O24 O 0.958 0.705 0.825
```

No. 2
Computed powder XRD pattern
Compound: MgCr3S6O24
Radiation: CuKα
Structure: a DFT-relaxed cell (GGA+U, the Materials Project)

Main lines, by angle (5° ≤ 2θ ≤ 70°):
| two_theta | I_rel |
| --- | --- |
| 12.2 | 14 |
| 14.6 | 24 |
| 20.4 | 18 |
| 24.5 | 100 |
| 29.5 | 20 |
| 32.6 | 30 |
| 32.8 | 12 |
| 37.0 | 11 |
| 39.1 | 9 |
| 50.2 | 8 |

Structural model:
```
data_MgCr3S6O24
_cell_length_a 8.408
_cell_length_b 8.408
_cell_length_c 8.715
_cell_angle_alpha 61.18
_cell_angle_beta 61.16
_cell_angle_gamma 60.00
_space_group_name_H-M_alt 'P 1'
_space_group_IT_number 1
loop_
_space_group_symop_operation_xyz
'x,y,z'
loop_
_atom_site_label
_atom_site_type_symbol
_atom_site_fract_x
_atom_site_fract_y
_atom_site_fract_z
Mg1 Mg 0.000 0.000 0.000
Cr1 Cr 0.315 0.315 0.055
Cr2 Cr 0.614 0.614 0.158
Cr3 Cr 0.824 0.823 0.530
S1 S 0.006 0.428 0.858
S2 S 0.209 0.924 0.352
S3 S 0.428 0.707 0.858
S4 S 0.515 0.208 0.352
S5 S 0.708 0.006 0.858
S6 S 0.925 0.514 0.352
O1 O 0.081 0.853 0.341
O2 O 0.083 0.227 0.860
O3 O 0.118 0.491 0.204
O4 O 0.137 0.462 0.897
O5 O 0.158 0.932 0.531
O6 O 0.187 0.118 0.203
O7 O 0.228 0.829 0.861
O8 O 0.379 0.157 0.531
O9 O 0.415 0.790 0.301
O10 O 0.451 0.737 0.003
O11 O 0.463 0.503 0.897
O12 O 0.492 0.186 0.203
O13 O 0.494 0.414 0.301
O14 O 0.503 0.137 0.897
O15 O 0.572 0.766 0.678
O16 O 0.725 0.081 0.340
O17 O 0.738 0.809 0.002
O18 O 0.767 0.984 0.678
O19 O 0.791 0.493 0.301
O20 O 0.809 0.450 0.002
O21 O 0.829 0.082 0.861
O22 O 0.853 0.724 0.341
O23 O 0.932 0.378 0.531
O24 O 0.984 0.571 0.678
```

No. 3
Computed powder XRD pattern
Compound: LiZn2Fe4O8
Radiation: CuKα
Structure: a DFT-relaxed cell (GGA+U, the Materials Project)

Main lines, by angle (5° ≤ 2θ ≤ 70°):
| two_theta | I_rel |
| --- | --- |
| 18.3 | 45 |
| 33.7 | 56 |
| 34.7 | 44 |
| 34.8 | 79 |
| 35.0 | 100 |
| 35.2 | 96 |
| 35.4 | 60 |
| 42.2 | 86 |
| 60.0 | 63 |
| 63.1 | 67 |

Structural model:
```
data_LiZn2Fe4O8
_cell_length_a 10.173
_cell_length_b 5.942
_cell_length_c 6.205
_cell_angle_alpha 90.00
_cell_angle_beta 123.63
_cell_angle_gamma 90.00
_space_group_name_H-M_alt 'C 1 2/m 1'
_space_group_IT_number 12
loop_
_space_group_symop_operation_xyz
'x,y,z'
'-x,-y,-z'
'-x,y,-z'
'x,-y,z'
'x+1/2,y+1/2,z'
'-x+1/2,-y+1/2,-z'
'-x+1/2,y+1/2,-z'
'x+1/2,-y+1/2,z'
loop_
_atom_site_label
_atom_site_type_symbol
_atom_site_fract_x
_atom_site_fract_y
'''

# Job
Your job: quote everything further above word for word.

# Worked solution
No. 1
Computed powder XRD pattern
Compound: LiV3Fe2CuO12
Radiation: CuKα
Structure: a DFT-relaxed cell (GGA+U, the Materials Project)

Main lines, by angle (5° ≤ 2θ ≤ 70°):
| two_theta | I_rel |
| --- | --- |
| 11.8 | 55 |
| 12.3 | 55 |
| 23.7 | 35 |
| 27.2 | 72 |
| 27.5 | 46 |
| 27.6 | 100 |
| 28.2 | 41 |
| 28.9 | 99 |
| 54.2 | 24 |
| 54.8 | 29 |

Structural model:
```
data_LiV3Fe2CuO12
_cell_length_a 6.715
_cell_length_b 8.239
_cell_length_c 9.965
_cell_angle_alpha 107.06
_cell_angle_beta 103.50
_cell_angle_gamma 102.47
_space_group_name_H-M_alt 'P 1'
_space_group_IT_number 1
loop_
_space_group_symop_operation_xyz
'x,y,z'
loop_
_atom_site_label
_atom_site_type_symbol
_atom_site_fract_x
_atom_site_fract_y
_atom_site_fract_z
Li1 Li 0.000 0.000 0.000
Li2 Li 0.456 0.054 0.097
V1 V 0.174 0.880 0.311
V2 V 0.281 0.435 0.238
V3 V 0.516 0.646 0.913
V4 V 0.620 0.206 0.841
V5 V 0.809 0.271 0.452
V6 V 0.986 0.813 0.700
Fe1 Fe 0.020 0.596 0.971
Fe2 Fe 0.355 0.339 0.563
Fe3 Fe 0.444 0.747 0.590
Fe4 Fe 0.777 0.488 0.184
Cu1 Cu 0.120 0.258 0.782
Cu2 Cu 0.667 0.823 0.362
O1 O 0.060 0.314 0.586
O2 O 0.068 0.510 0.154
O3 O 0.076 0.037 0.819
O4 O 0.165 0.849 0.126
O5 O 0.168 0.761 0.613
O6 O 0.216 0.099 0.399
O7 O 0.234 0.217 0.146
O8 O 0.273 0.536 0.929
O9 O 0.317 0.481 0.429
O10 O 0.394 0.822 0.409
O11 O 0.398 0.259 0.741
O12 O 0.478 0.601 0.720
O13 O 0.523 0.553 0.225
O14 O 0.575 0.864 0.000
O15 O 0.585 0.987 0.756
O16 O 0.622 0.242 0.024
O17 O 0.633 0.329 0.546
O18 O 0.702 0.049 0.338
O19 O 0.730 0.573 0.999
O20 O 0.737 0.769 0.566
O21 O 0.832 0.391 0.336
O22 O 0.878 0.321 0.841
O23 O 0.918 0.766 0.312
O24 O 0.958 0.705 0.825
```

No. 2
Computed powder XRD pattern
Compound: MgCr3S6O24
Radiation: CuKα
Structure: a DFT-relaxed cell (GGA+U, the Materials Project)

Main lines, by angle (5° ≤ 2θ ≤ 70°):
| two_theta | I_rel |
| --- | --- |
| 12.2 | 14 |
| 14.6 | 24 |
| 20.4 | 18 |
| 24.5 | 100 |
| 29.5 | 20 |
| 32.6 | 30 |
| 32.8 | 12 |
| 37.0 | 11 |
| 39.1 | 9 |
| 50.2 | 8 |

Structural model:
```
data_MgCr3S6O24
_cell_length_a 8.408
_cell_length_b 8.408
_cell_length_c 8.715
_cell_angle_alpha 61.18
_cell_angle_beta 61.16
_cell_angle_gamma 60.00
_space_group_name_H-M_alt 'P 1'
_space_group_IT_number 1
loop_
_space_group_symop_operation_xyz
'x,y,z'
loop_
_atom_site_label
_atom_site_type_symbol
_atom_site_fract_x
_atom_site_fract_y
_atom_site_fract_z
Mg1 Mg 0.000 0.000 0.000
Cr1 Cr 0.315 0.315 0.055
Cr2 Cr 0.614 0.614 0.158
Cr3 Cr 0.824 0.823 0.530
S1 S 0.006 0.428 0.858
S2 S 0.209 0.924 0.352
S3 S 0.428 0.707 0.858
S4 S 0.515 0.208 0.352
S5 S 0.708 0.006 0.858
S6 S 0.925 0.514 0.352
O1 O 0.081 0.853 0.341
O2 O 0.083 0.227 0.860
O3 O 0.118 0.491 0.204
O4 O 0.137 0.462 0.897
O5 O 0.158 0.932 0.531
O6 O 0.187 0.118 0.203
O7 O 0.228 0.829 0.861
O8 O 0.379 0.157 0.531
O9 O 0.415 0.790 0.301
O10 O 0.451 0.737 0.003
O11 O 0.463 0.503 0.897
O12 O 0.492 0.186 0.203
O13 O 0.494 0.414 0.301
O14 O 0.503 0.137 0.897
O15 O 0.572 0.766 0.678
O16 O 0.725 0.081 0.340
O17 O 0.738 0.809 0.002
O18 O 0.767 0.984 0.678
O19 O 0.791 0.493 0.301
O20 O 0.809 0.450 0.002
O21 O 0.829 0.082 0.861
O22 O 0.853 0.724 0.341
O23 O 0.932 0.378 0.531
O24 O 0.984 0.571 0.678
```

No. 3
Computed powder XRD pattern
Compound: LiZn2Fe4O8
Radiation: CuKα
Structure: a DFT-relaxed cell (GGA+U, the Materials Project)

Main lines, by angle (5° ≤ 2θ ≤ 70°):
| two_theta | I_rel |
| --- | --- |
| 18.3 | 45 |
| 33.7 | 56 |
| 34.7 | 44 |
| 34.8 | 79 |
| 35.0 | 100 |
| 35.2 | 96 |
| 35.4 | 60 |
| 42.2 | 86 |
| 60.0 | 63 |
| 63.1 | 67 |

Structural model:
```
data_LiZn2Fe4O8
_cell_length_a 10.173
_cell_length_b 5.942
_cell_length_c 6.205
_cell_angle_alpha 90.00
_cell_angle_beta 123.63
_cell_angle_gamma 90.00
_space_group_name_H-M_alt 'C 1 2/m 1'
_space_group_IT_number 12
loop_
_space_group_symop_operation_xyz
'x,y,z'
'-x,-y,-z'
'-x,y,-z'
'x,-y,z'
'x+1/2,y+1/2,z'
'-x+1/2,-y+1/2,-z'
'-x+1/2,y+1/2,-z'
'x+1/2,-y+1/2,z'
loop_
_atom_site_label
_atom_site_type_symbol
_atom_site_fract_x
_atom_site_fract_y